It's Un-complicated Bonus Material

Jump-Start Life Hacks for a move toward Health Improvement.

Un-complicated Nutritional

Life Hack

Start eating well today. The right food in the right amounts at the right time all of the time.

Here’s how

Begin to view food as neutral, neither Good nor Bad.
We’ll discus the vast variables in nutrient quality in foods at another time. For the moment, suspend judgment on the macro and micro nutrient quality of foods. Welcome to a new relationship with food. A relationship where you are in charge, never again to be surprised, caught off guard or fooled by food again.

Approach food like you do a Traffic Light. Skilled and assured. Driving relaxed and ready, alert and prepared to make needed adjustments.

Approach food similarly. Plan to eat. Eat, but choose wisely. Alert and observant to any element that would call for a needed change in speed or direction while approaching food.

Green - Full speed ahead, but be alert. Be aware of circumstances and your surroundings. This food is a green light - Lean, green and marine, fruits and vegetable, whole grains, nuts, legumes, lean meats (in small amounts), low to no sugar, healthy fats (olive oil, avocado, nuts, fish). Enjoy.

Yellow - Approach and proceed with caution. Increased awareness of your surroundings. Slowing slightly you are ready to stop if necessary. This food is a flashing yellow light - Energy bars, energy drinks, pasta dishes, breads, foods labeled Low-Fat, serving size deceptions (you may have just had 4 servings), food served at times that do not match your needs.

Red - Stop. Look. Listen. Is this the best you can do? What are your options? Could you do better? Stop, turn around and improve your selection. This food is a Red light - Fast Food. Greasy, fatty, sugary, too much of any food, most things in a Prue-packaged box, things your great- Grandmother would not have recognized as food, candy, sweets and cakes, chips and Adult beverages to excess.

Be alert around food as you are alert behind the wheel of a car. Distracted drivers are a great danger to themselves and all whom they approach. Distracted eaters put themselves at risk by neglecting attention the timing, type or amount of food that best advances their health.

Un-complicated Exercise

Life Hack

Begin today to strengthen your heart, lungs, muscles and bones, increase your energy level, as you burn off excess calories.

Here’s how.


Begin today to set time aside for an exercise walk. Daily. 7 days a week. Begin today. Wear comfortable and appropriate clothing for the weather conditions. Tomorrow and each day following, for the next 30 days go far a walk. Each day increase the distance over the previous day’s amble.

Begin. If only for just two minutes. That’s 60 seconds out and away form your front door and back again. Begin and continue to increase each day. Not big increases but noticeably further. Continue adding time or distance to your exercise walk each day. In time you will likely find yourself walking not just further but faster as well.

For an added boost - though we do want to keep the whole process un-complicated - keep track of your progress in writing and share the results with a trusted encourager.

As with any new exercise program speak with your doctor before any significant increase in activity or exercise intensity. going beyond your current activity intensity.

Un-complicated Stress Management Life Hack

Response to stress remains an individualized phenomenon.

We all have times where demand continues to out-pace supply. Patience is tested, energy drained, and hopes crushed. Mentally, emotionally, physically, and beyond count on being challenged. Though we all encounter times of high demand and “stress”, not all occurrences of difficult or high expectations lead to negative stress.

Here is not the place to assign merit to any given level of stress. Only to admit that a negative toll has continued to be taken and something needs to change.

The Hack.

1. Never. Never, face this demand alone.
2. Repeat #1.
3. Reduce the demand – Clarify outcome expectations of self and others.
4. Set new boundaries that can be maintained with a plan to reassess.
5. Practice saying “Yes. I can do that. But not right now.”
6. Increase capacity – Your attentive control to 100% of your response - (exercise, journal, meditation, skill building, improve sleep.)
7. Accept entrenched and immovable circumstances as part of the landscape.
8. Somethings you can change. Embrace personal responsibility.
9. Others you can not change. (You do not have to fight - everything.)
10. Pray for the wisdom to know the difference.

It is amazing to see that those who have nothing to do, want to do it with you when you are busy.

== Records of crystals from another source follow ==
=====
Ni4SnS: simulated powder diffraction line list (Cu Kα X-rays), based on the GGA-PBE geometry in Alexandria.
Intensities are scaled so that the largest is 1000.

Crystal structure
a = 4.465 Å, b = 5.949 Å, c = 6.776 Å
α = 100.84°, β = 108.78°, γ = 97.14°
Fractional positions:
Ni: 0.001 0.469 0.178
Ni: 0.162 0.886 0.666
Ni: 0.211 0.893 0.155
Ni: 0.367 0.315 0.657
Ni: 0.633 0.685 0.343
Ni: 0.789 0.107 0.845
Ni: 0.838 0.114 0.334
Ni: 0.999 0.531 0.822
Sn: 0.391 0.259 0.039
Sn: 0.609 0.741 0.961
S: 0.000 0.500 0.500
S: 0.500 0.000 0.500

Top 6 peaks for 15° ≤ 2θ ≤ 90°, by intensity:
two_theta	I (rel.)
41.78	1000
46.57	744
43.40	734
37.15	717
42.04	609
34.45	572

***

Ce3TiAg3Se8: simulated powder diffraction line list (Cu Kα X-rays), based on the GGA-PBE geometry in Alexandria.
Intensities are scaled so that the largest is 1000.

Crystal structure
a = 8.056 Å, b = 8.056 Å, c = 8.056 Å
α = 62.68°, β = 62.68°, γ = 62.68°
Fractional positions:
Ce: 0.000 0.500 0.500
Ce: 0.500 0.000 0.500
Ce: 0.500 0.500 0.000
Ti: 0.000 0.000 0.000
Ag: 0.000 0.000 0.500
Ag: 0.000 0.500 0.000
Ag: 0.500 0.000 0.000
Se: 0.227 0.770 0.770
Se: 0.230 0.230 0.773
Se: 0.230 0.773 0.230
Se: 0.249 0.249 0.249
Se: 0.751 0.751 0.751
Se: 0.770 0.227 0.770
Se: 0.770 0.770 0.227
Se: 0.773 0.230 0.230

Top 6 peaks for 15° ≤ 2θ ≤ 90°, by intensity:
two_theta	I (rel.)
30.82	1000
43.18	376
45.09	336
53.99	186
71.51	149
74.29	138

***

Y4Cu2Sn: simulated powder diffraction line list (Cu Kα X-rays), based on the GGA-PBE geometry in Alexandria.
Intensities are scaled so that the largest is 1000.

Crystal structure
a = 8.692 Å, b = 8.692 Å, c = 6.929 Å
α = 107.98°, β = 107.98°, γ = 120.45°
Fractional positions:
Y: 0.027 0.973 0.500
Y: 0.088 0.429 0.836
Y: 0.316 0.806 0.652
Y: 0.429 0.088 0.336
Y: 0.497 0.572 0.366
Y: 0.572 0.497 0.866
Y: 0.806 0.316 0.152
Y: 0.973 0.027 0.000
Cu: 0.022 0.693 0.129
Cu: 0.193 0.371 0.475
Cu: 0.371 0.193 0.975
Cu: 0.693 0.022 0.629
Sn: 0.620 0.895 0.165
Sn: 0.895 0.620 0.665

Top 6 peaks for 15° ≤ 2θ ≤ 90°, by intensity:
two_theta	I (rel.)
32.19	1000
32.74	933
35.66	829
32.50	657
41.10	327
28.96	315

***

Pm4PrEr6: simulated powder diffraction line list (Cu Kα X-rays), based on the GGA-PBE geometry in Alexandria.
Intensities are scaled so that the largest is 1000.

Crystal structure
a = 9.698 Å, b = 9.698 Å, c = 9.698 Å
α = 139.88°, β = 139.88°, γ = 58.04°
Fractional positions:
Pm: 0.135 0.135 0.620
Pm: 0.486 0.865 0.000
Pm: 0.514 0.514 0.380
Pm: 0.865 0.486 0.000
Pr: 0.500 0.500 0.000
Er: 0.000 0.500 0.500
Er: 0.053 0.696 0.000
Er: 0.304 0.304 0.356
Er: 0.500 0.000 0.500
Er: 0.696 0.053 0.000
Er: 0.947 0.947 0.644

Top 6 peaks for 15° ≤ 2θ ≤ 90°, by intensity:
two_theta	I (rel.)
30.50	1000
34.26	775
28.83	637
28.34	430
40.32	357
37.10	310

***

Tb5ErTl5: simulated powder diffraction line list (Cu Kα X-rays), based on the GGA-PBE geometry in Alexandria.
Intensities are scaled so that the largest is 1000.

Crystal structure
a = 9.314 Å, b = 9.314 Å, c = 7.023 Å
=====

Un-complicated QUIT

Life Hack

Smoking? Really?! I thought everybody knew...

The habit of tobacco is a monster. A killer.
So much has been done to help educate and assist people reach QUIT status.
The organization Still A Problem encourages more. More education and more support to assist individuals in kicking the habit.

However you go about slowing and then stopping the killer habit of tobacco, start.


Select a methodology (check out the links) that connects well with your motivational and learning style.
Allen Carr’s Easy Way to Stop Smoking
The American Heat Association
Become An Ex (smoker)
Toss ‘em, blend ‘em, change or re-arrange ‘em, only start. Find your way to becoming successfully QUIT.

All the Best to you a you work toward your Health Improvement.